(Entries)
=====
Below is crystalline Li7Si2 at its relaxed geometry, with properties calculated at the PBE level.

Computed properties:
For the formation energy from the elements, the calculation gives -198 meV per atom. The calculation puts the total energy at -2.9043 eV per atom. As for the energy with MP2020 corrections: -2.89 eV per atom.

Unit cell a=8.046 b=14.912 c=4.476 alpha=90.00 beta=90.00 gamma=90.00
Space group Pbam (No. 55)
Asymmetric unit:
Li 0.000 0.000 0.000 (multiplicity 2)
Li 0.000 0.500 0.500 (multiplicity 2)
Li 0.086 0.242 0.500 (multiplicity 4)
Li 0.116 0.810 0.000 (multiplicity 4)
Li 0.121 0.644 0.500 (multiplicity 4)
Li 0.174 0.512 0.000 (multiplicity 4)
Li 0.204 0.166 0.000 (multiplicity 4)
Li 0.234 0.897 0.500 (multiplicity 4)
Si 0.057 0.346 0.000 (multiplicity 4)
Si 0.102 0.064 0.500 (multiplicity 4)

=====

The following is a DFT calculation (PBE-GGA) of a relaxed structure of CsReF6.

Computed properties:
ρ   4.62 g/cm3
ΔE_f   -2723 meV/atom

Lattice parameters (Å, degrees): 8.0585 8.0585 8.2992 90.00 90.00 120.00
Space group R-3 (No. 148, hexagonal axes)
One atom of each set of equivalent atoms:
Cs (0.0000, 0.0000, 0.0000) (multiplicity 3)
Re (0.0000, 0.0000, 0.5000) (multiplicity 3)
F (0.0594, 0.8431, 0.6352) (multiplicity 18)

=====

## a
A relaxed structure of Li3NbO4. Source: the Materials Project, functional PBE.

* mass density: 3.8 Mg/m³
* largest piezoelectric modulus: 0.041 C/m²

Unit cell a=7.3864 b=7.3864 c=7.3864 alpha=109.47 beta=109.47 gamma=109.47
Element x y z (fractional)
1 Li 0.0000 0.2705 0.5137
2 Li 0.0000 0.5137 0.2705
3 Li 0.2431 0.7295 0.7295
4 Li 0.2705 0.0000 0.5137
5 Li 0.2705 0.5137 0.0000
6 Li 0.4863 0.4863 0.7569
7 Li 0.4863 0.7569 0.4863
8 Li 0.5137 0.0000 0.2705
9 Li 0.5137 0.2705 0.0000
10 Li 0.7295 0.2431 0.7295
11 Li 0.7295 0.7295 0.2431
12 Li 0.7569 0.4863 0.4863
13 Nb 0.0000 0.0000 0.7192
14 Nb 0.0000 0.7192 0.0000
15 Nb 0.2808 0.2808 0.2808
16 Nb 0.7192 0.0000 0.0000
17 O 0.0000 0.0000 0.2273
18 O 0.0000 0.2273 0.0000
19 O 0.0000 0.5142 0.7603
20 O 0.0000 0.7603 0.5142
21 O 0.2273 0.0000 0.0000
22 O 0.2397 0.2397 0.7539
23 O 0.2397 0.7539 0.2397
24 O 0.2461 0.4858 0.4858
25 O 0.4858 0.2461 0.4858
26 O 0.4858 0.4858 0.2461
27 O 0.5142 0.0000 0.7603
28 O 0.5142 0.7603 0.0000
29 O 0.7539 0.2397 0.2397
30 O 0.7603 0.0000 0.5142
31 O 0.7603 0.5142 0.0000
32 O 0.7727 0.7727 0.7727


## b
A relaxed structure of Li3NbO4. Source: the Materials Project, functional PBE.

* M_tot: 0.0 Bohr magnetons per cell
* mass density: 4.0 Mg/m³

Unit cell a=4.1666 b=4.1666 c=8.6035 alpha=90.00 beta=90.00 gamma=90.00
Element x y z (fractional)
1 Li 0.0000 0.0000 0.0000
2 Li 0.0000 0.5000 0.2500
3 Li 0.0000 0.5000 0.7500
4 Li 0.5000 0.0000 0.2500
5 Li 0.5000 0.0000 0.7500
6 Li 0.5000 0.5000 0.5000
7 Nb 0.0000 0.0000 0.5000
8 Nb 0.5000 0.5000 0.0000
9 O 0.0000 0.0000 0.2745
10 O 0.0000 0.0000 0.7255
11 O 0.0000 0.5000 0.0000
12 O 0.0000 0.5000 0.5000
13 O 0.5000 0.0000 0.0000
14 O 0.5000 0.0000 0.5000
15 O 0.5000 0.5000 0.2255
16 O 0.5000 0.5000 0.7745


Most stable: a


## a
A relaxed structure of Li2NbP2O8. Source: the Materials Project, functional PBE.

* M_tot: 2.0 Bohr magnetons per cell
* mass density: 3.2 Mg/m³

Unit cell a=6.0411 b=4.8482 c=10.3960 alpha=90.00 beta=90.13 gamma=90.00
Element x y z (fractional)
1 Li 0.0000 0.2201 0.0000
2 Li 0.0000 0.7799 0.5000
3 Li 0.7882 0.2433 0.7135
4 Li 0.7882 0.7567 0.2135
5 Nb 0.4828 0.2751 0.4359
6 Nb 0.4828 0.7249 0.9359
7 P 0.4973 0.1641 0.1158
8 P 0.4973 0.8359 0.6158
9 P 0.9810 0.3067 0.3101
10 P 0.9810 0.6933 0.8101
11 O 0.1838 0.4256 0.3928
12 O 0.1838 0.5744 0.8928
13 O 0.3016 0.0410 0.0358
14 O 0.3016 0.9590 0.5358
15 O 0.4881 0.0711 0.2584
16 O 0.4881 0.9289 0.7584
17 O 0.5113 0.4817 0.1063
18 O 0.5113 0.5183 0.6063
19 O 0.6965 0.0079 0.0520
20 O 0.6965 0.9921 0.5520
21 O 0.7707 0.4512 0.3810
22 O 0.7707 0.5488 0.8810
23 O 0.9674 0.0033 0.8233
24 O 0.9674 0.9967 0.3233
25 O 0.9846 0.4264 0.1759
26 O 0.9846 0.5736 0.6759


## b
=====

(To do)
Your job: transcribe the rows above unchanged.

(Here it is)
Below is crystalline Li7Si2 at its relaxed geometry, with properties calculated at the PBE level.

Computed properties:
For the formation energy from the elements, the calculation gives -198 meV per atom. The calculation puts the total energy at -2.9043 eV per atom. As for the energy with MP2020 corrections: -2.89 eV per atom.

Unit cell a=8.046 b=14.912 c=4.476 alpha=90.00 beta=90.00 gamma=90.00
Space group Pbam (No. 55)
Asymmetric unit:
Li 0.000 0.000 0.000 (multiplicity 2)
Li 0.000 0.500 0.500 (multiplicity 2)
Li 0.086 0.242 0.500 (multiplicity 4)
Li 0.116 0.810 0.000 (multiplicity 4)
Li 0.121 0.644 0.500 (multiplicity 4)
Li 0.174 0.512 0.000 (multiplicity 4)
Li 0.204 0.166 0.000 (multiplicity 4)
Li 0.234 0.897 0.500 (multiplicity 4)
Si 0.057 0.346 0.000 (multiplicity 4)
Si 0.102 0.064 0.500 (multiplicity 4)

=====

The following is a DFT calculation (PBE-GGA) of a relaxed structure of CsReF6.

Computed properties:
ρ   4.62 g/cm3
ΔE_f   -2723 meV/atom

Lattice parameters (Å, degrees): 8.0585 8.0585 8.2992 90.00 90.00 120.00
Space group R-3 (No. 148, hexagonal axes)
One atom of each set of equivalent atoms:
Cs (0.0000, 0.0000, 0.0000) (multiplicity 3)
Re (0.0000, 0.0000, 0.5000) (multiplicity 3)
F (0.0594, 0.8431, 0.6352) (multiplicity 18)

=====

## a
A relaxed structure of Li3NbO4. Source: the Materials Project, functional PBE.

* mass density: 3.8 Mg/m³
* largest piezoelectric modulus: 0.041 C/m²

Unit cell a=7.3864 b=7.3864 c=7.3864 alpha=109.47 beta=109.47 gamma=109.47
Element x y z (fractional)
1 Li 0.0000 0.2705 0.5137
2 Li 0.0000 0.5137 0.2705
3 Li 0.2431 0.7295 0.7295
4 Li 0.2705 0.0000 0.5137
5 Li 0.2705 0.5137 0.0000
6 Li 0.4863 0.4863 0.7569
7 Li 0.4863 0.7569 0.4863
8 Li 0.5137 0.0000 0.2705
9 Li 0.5137 0.2705 0.0000
10 Li 0.7295 0.2431 0.7295
11 Li 0.7295 0.7295 0.2431
12 Li 0.7569 0.4863 0.4863
13 Nb 0.0000 0.0000 0.7192
14 Nb 0.0000 0.7192 0.0000
15 Nb 0.2808 0.2808 0.2808
16 Nb 0.7192 0.0000 0.0000
17 O 0.0000 0.0000 0.2273
18 O 0.0000 0.2273 0.0000
19 O 0.0000 0.5142 0.7603
20 O 0.0000 0.7603 0.5142
21 O 0.2273 0.0000 0.0000
22 O 0.2397 0.2397 0.7539
23 O 0.2397 0.7539 0.2397
24 O 0.2461 0.4858 0.4858
25 O 0.4858 0.2461 0.4858
26 O 0.4858 0.4858 0.2461
27 O 0.5142 0.0000 0.7603
28 O 0.5142 0.7603 0.0000
29 O 0.7539 0.2397 0.2397
30 O 0.7603 0.0000 0.5142
31 O 0.7603 0.5142 0.0000
32 O 0.7727 0.7727 0.7727


## b
A relaxed structure of Li3NbO4. Source: the Materials Project, functional PBE.

* M_tot: 0.0 Bohr magnetons per cell
* mass density: 4.0 Mg/m³

Unit cell a=4.1666 b=4.1666 c=8.6035 alpha=90.00 beta=90.00 gamma=90.00
Element x y z (fractional)
1 Li 0.0000 0.0000 0.0000
2 Li 0.0000 0.5000 0.2500
3 Li 0.0000 0.5000 0.7500
4 Li 0.5000 0.0000 0.2500
5 Li 0.5000 0.0000 0.7500
6 Li 0.5000 0.5000 0.5000
7 Nb 0.0000 0.0000 0.5000
8 Nb 0.5000 0.5000 0.0000
9 O 0.0000 0.0000 0.2745
10 O 0.0000 0.0000 0.7255
11 O 0.0000 0.5000 0.0000
12 O 0.0000 0.5000 0.5000
13 O 0.5000 0.0000 0.0000
14 O 0.5000 0.0000 0.5000
15 O 0.5000 0.5000 0.2255
16 O 0.5000 0.5000 0.7745


Most stable: a


## a
A relaxed structure of Li2NbP2O8. Source: the Materials Project, functional PBE.

* M_tot: 2.0 Bohr magnetons per cell
* mass density: 3.2 Mg/m³

Unit cell a=6.0411 b=4.8482 c=10.3960 alpha=90.00 beta=90.13 gamma=90.00
Element x y z (fractional)
1 Li 0.0000 0.2201 0.0000
2 Li 0.0000 0.7799 0.5000
3 Li 0.7882 0.2433 0.7135
4 Li 0.7882 0.7567 0.2135
5 Nb 0.4828 0.2751 0.4359
6 Nb 0.4828 0.7249 0.9359
7 P 0.4973 0.1641 0.1158
8 P 0.4973 0.8359 0.6158
9 P 0.9810 0.3067 0.3101
10 P 0.9810 0.6933 0.8101
11 O 0.1838 0.4256 0.3928
12 O 0.1838 0.5744 0.8928
13 O 0.3016 0.0410 0.0358
14 O 0.3016 0.9590 0.5358
15 O 0.4881 0.0711 0.2584
16 O 0.4881 0.9289 0.7584
17 O 0.5113 0.4817 0.1063
18 O 0.5113 0.5183 0.6063
19 O 0.6965 0.0079 0.0520
20 O 0.6965 0.9921 0.5520
21 O 0.7707 0.4512 0.3810
22 O 0.7707 0.5488 0.8810
23 O 0.9674 0.0033 0.8233
24 O 0.9674 0.9967 0.3233
25 O 0.9846 0.4264 0.1759
26 O 0.9846 0.5736 0.6759


## b